#562: Storage Buckets API
Tess: Storage standard... very abstract. defines conceptual framework that other storage mechnisms can hook onto. E.g. as other specs are built on top of Fetch. Similar idea here. Also specifying what happens when you "clear storage data" button .etc...
... key value store. Key is what origin and what kind and value is what the backing store is. Not really something that's exposed to authors. Definition of something called a storage bucket. All the storage for an origin fits into the same bucket. API allows for programmatic access to storage buckets. We now live in a world of partitioned storage. E.g. facebook.com is one bucket, facebook.com in an iframe on NYTimes is a different bucket. API helps websites understand when the bucket under them is changing. Can allow sites to create an ephemeral storage bucket. Adding an API to it might require more work.
Ken: I went to TPAC breakout. You can delete some of these buckets if there is a right to be forgotten request. For login info you really don't want that to be gone - or for a boarding pass - giving developers more control or due to regulatory requirements.
Tess: Dedicated proposals for login or regulatory consents... Site wouldn't have to use its own storage for that.
Ken: normally you have to write to people "we're going to store this for xyz timeframe" and after that's it's gone [under gdpr].
# Data records, kept here for reference
Theoretical powder diffractogram of CaTeAuSeS for Cu Ka, from a GGA-PBE-relaxed structure.

a = 4.696 Å, b = 4.904 Å, c = 6.525 Å
α = 73.45°, β = 82.49°, γ = 74.89°
Fractional positions:
Ca 0.000 0.000 0.000
Te 0.373 0.986 0.378
Au 0.390 0.503 0.748
Se 0.609 0.583 0.048
S 0.089 0.337 0.571

Peak list (8 most intense, 10° ≤ 2θ ≤ 90°, by intensity)
2θ = 19.62°, rel. 100; 2θ = 32.42°, rel. 90; 2θ = 27.04°, rel. 67; 2θ = 31.29°, rel. 60; 2θ = 20.87°, rel. 50; 2θ = 39.96°, rel. 33; 2θ = 39.45°, rel. 31; 2θ = 24.70°, rel. 28

~~~~~

No. 1
Theoretical powder diffractogram
Compound: Tb2Nd5Sm12
Radiation: a wavelength of 1.5418 Å
Structure: the PBE geometry in Alexandria

Atomic structure:
```
data_Tb2Nd5Sm12
_space_group_name_H-M_alt 'C 1 2/m 1'
_space_group_IT_number 12
_space_group_name_Hall '-C 2y'
_cell_length_a 18.055
_cell_length_b 11.809
_cell_length_c 6.253
_cell_angle_alpha 90.00
_cell_angle_beta 102.98
_cell_angle_gamma 90.00
loop_
_atom_site_label
_atom_site_type_symbol
_atom_site_fract_x
_atom_site_fract_y
_atom_site_fract_z
_atom_site_occupancy
Tb1 Tb 0.000 0.228 0.000 1
Nd1 Nd 0.000 0.000 0.500 1
Nd2 Nd 0.176 0.500 0.858 1
Nd3 Nd 0.214 0.000 0.552 1
Sm1 Sm 0.053 0.500 0.274 1
Sm2 Sm 0.103 0.254 0.618 1
Sm3 Sm 0.120 0.000 0.996 1
Sm4 Sm 0.197 0.254 0.200 1
```

Peak list (12 most intense, 10° ≤ 2θ ≤ 90°, in order of falling intensity)
d (Å)	Position (°2θ)	I/Imax	index
2.839	31.51	100	4 2 1
2.952	30.27	57	0 4 0
2.746	32.61	46	2 2 -2
3.263	27.33	31	5 1 -1
3.018	29.60	22	1 1 -2
2.910	30.73	21	6 0 -1
1.682	54.57	20	4 6 1
2.610	34.36	19	6 2 -1
2.571	34.90	18	5 3 -1
2.072	43.68	14	6 4 -1
1.591	57.98	11	2 4 3
1.511	61.37	11	10 4 0


No. 2
Theoretical powder diffractogram
Compound: Ti3H2O7
Radiation: a wavelength of 1.5418 Å
Structure: the PBE geometry in Alexandria

Atomic structure:
```
data_Ti3H2O7
_space_group_name_H-M_alt 'P 1'
_space_group_IT_number 1
_space_group_name_Hall 'P 1'
_cell_length_a 3.776
_cell_length_b 8.231
_cell_length_c 9.417
_cell_angle_alpha 100.49
_cell_angle_beta 90.17
_cell_angle_gamma 99.90
loop_
_atom_site_label
_atom_site_type_symbol
_atom_site_fract_x
_atom_site_fract_y
_atom_site_fract_z
_atom_site_occupancy
Ti1 Ti 0.000 0.000 0.000 1
Ti2 Ti 0.017 0.069 0.696 1
Ti3 Ti 0.050 0.154 0.387 1
Ti4 Ti 0.604 0.293 0.968 1
Ti5 Ti 0.635 0.378 0.660 1
Ti6 Ti 0.656 0.451 0.356 1
H1 H 0.183 0.714 0.061 1
H2 H 0.803 0.725 0.232 1
H3 H 0.840 0.802 0.405 1
H4 H 0.849 0.638 0.950 1
O1 O 0.004 0.031 0.214 1
O2 O 0.079 0.223 0.937 1
O3 O 0.108 0.307 0.633 1
O4 O 0.138 0.392 0.344 1
O5 O 0.515 0.051 0.012 1
O6 O 0.545 0.141 0.726 1
O7 O 0.576 0.224 0.423 1
O8 O 0.647 0.413 0.142 1
O9 O 0.676 0.468 0.855 1
O10 O 0.696 0.544 0.554 1
O11 O 0.756 0.698 0.328 1
O12 O 0.950 0.904 0.804 1
O13 O 0.955 0.738 0.030 1
O14 O 0.979 0.980 0.503 1
```

Peak list (12 most intense, 10° ≤ 2θ ≤ 90°, in order of falling intensity)
d (Å)	Position (°2θ)	I/Imax	index
7.968	11.10	100	0 1 0
3.621	24.58	23	1 -1 0
3.085	28.94	18	0 0 3
5.551	15.97	16	0 1 1
# So much for the data records
Dan: is there a privacy concern - data leakage between buckets?
Tess: example of 2 tabs open to facebook - it can already know...
Dan: container tabs?
Tess: it would have no way of knowing. This doesn't change that. Useful for things like storage access API - and storage access changes - getting notified that the bucket is invalid. "What happens to temp storage" - how do you swap it out in a way that's safe? Uncommittedd indexdb transaction... This API helps with defining that precisely. Super unclear how this should work right now.
Rossen: biggest worries?
Tess: I deeply understand why we need to do this but haven't reviewed if this is a good design.
Rossen: Reading the privacy assessment - on the question on deistinguising between 3rd and 1st party context - not proposing any distinction between 1st and 3rd. Down the road it may restrict access to 3rd party. That is a warning flag to me.
Tess: what's unclear from the explainer - defining partion storage is an ongoing effort. That's "in flight". I agree with the worry but since it's in flgiht it's probably appropriate.
Ken: this is early days.
Tess: I think we should take a closer look at the API itself.
Dan: I'll do a stronger review of the privacy & security response.
Ken: I'll look at the API.
Rossen: Storage buckets - the API is hanging off of navigator. That's for the current origin?
[bumped 2 weeks]
[discussion on the API]
Ken: there is no API spec yet...
ken: [leaves commet]
Dan: I will look at the privacy & security response - briefly looking it looks reasonable.
[bumped a week]
Tess: we wanted them to provide us a summary of the API - and they have done so - in IDL. We could look at it now.
Ken: on API I'm not a big fan of APIs with Open or Create... I don't understand - all storage buckets have a name and also a title - metadata you can set. You can go into settings and see a descriptive name. You run into issues of a11y, i18n..
Tess: we've been reluctant to expose author-provided strings in security UI like that...
Ken: I think it should just be called open. Also - i don't know about the expiration thing - takes a DOM timestamp. Will this work with summer time, etc...
Tess: DOM timestamps are always UTC.
Ken: ok.
Tess: the rest of it is "what hangs off of a storage bucket"
Ken: ...name of persist
Tess: our naming advice would suggest a simpler name - like "save". Depends on what persist
... durability concept - durability relax - is the UA free to delete things things? But even in strict if the UA is under storage pressure it's gonna get rid of your stuff. So - don't like APIs that imply to the author that this is durable.
Ken: maybe "something i care about" / "something I don't care about"
Tess: The service worker integration is complex but it needs to be...
Ken: file API thing...
Tess: these APIs are straight from the file api... so consistency.
Ken: set expires -- doesn't it make sense to set expiration date? set expires sounds like a boolean.
Tess: to summarize: we have some naming concerns and other similar concerns... but overall it seems fine.
Dan: why is this better for user privacy?
Tess: the explainer covers this reasonably well.. Currently browsers have an all-or-nothing choice about storage. This API would allow browsers to be a little more intelligent. For example, an email client could put mailboxes in 1 bucket - and say that the durability is relaxed - and a 2nd bucket for draft messages you haven't sent yet - and put that under "strict" durability. So UA can delete the "relaxed" stuff first. This doesn't change partitioning of storage - it just makes it more convenient about how to selectively purge storage. Theoretically the privacy story is "no change" - there could be some fingerprintability - you could create different buckets but it's really hard to do...
Dan: expiration date could allow the developer to set expration on data that isn't needed anymore - aids in data minimization. Good for sustainability.
Tess: Yes.
... you could imaging user agents to want a default expiration. That would be a huge win compared to existing APIs.
... controling the expiration of the default bucket...
Ken: you can't get access...
Tess: in the S&P they talk about exposing the default bucket... could be good because it encourages sites to set a
[discussed possibly closing in the plenary call this week - otherwise 2nd week of jan]
Ken: I read the feedback, it's really good. Some of the comments about names, it's consistent with existing things so I think that's okay. Consistency is very important even though the names might not be perfect.
Dan: propose close?
Ken: yeah this is early review. We like the feature, they are listening to our feedback, we have given some comments and we look forward to a late review.
Dan: did they say what the venue is?
Sangwhan: feels like webapps
Ken: they haven't said. Probably same as cookie store API. I'll write that the feedback sounds sensible.
Sangwhan: use cases and goals I'm happy with, detailed API I'm not up to date
Dan: and multi stakeholder, I don't see
Ken: done
Sangwhan: the multi stakeholder thing is at the bottom of the explainer
Ken: it's definitely there, I'll remove that
Dan: there are some words here.. when they say Gecko positive, what does that mean? I would like to see a link to the Mozilla standards position. Web developers - positive? I'd like to see more.. be good to see some evidence. Some blog posts?
Ken: I'm a web developer and I like it
Sangwhan: it takes away the problem of namespacing so you can scope storage from the developer to the browser, so that's useful
Dan: I'm in no way making the arguement that it's not useful. I'd just like to see more evidence when they make these assertions.
Ken: maybe we should change our issue template to point out please send the standards position
Dan: I might add an additional comment asking for more detail on the developer feedback.
Tess: Quick summary: Ken and I looked at it, liked the general idea, wanted some kind of summary IDL to understand what the API is.
... they provided that, Ken and I haven't managed to do a second review on it since then.
... We talked about doing a 1:1 breakout to do that, but we haven't yet scheduled that. Other folks are also assigned to this... but doing a breakout between Tess, Ken and Sangwhan is near-impossible timezone-wise.
Peter: Should we push this to the f2f?
Alice: still overconstrained.
Peter: I would simply have multiple breakouts...
Yves: is there an issue with partitioning?
Ken: we discussed this but don't recall the answer.
Yves: [leaves comment asking this]
Hadley: I'm not sure they answered Yves' question. diff between storage buckets and partitioning?
Yves: organise buckets by yourself rather than by each file and resource..
Ken: control your own storage inside your own application. Like caching. You can say which is privacy sensitive..
Yves: or a bucket you pin in your cache.
Ken: per user per site. Site is in control. UI that says you can delete cache but have a bucket you don't want to delete. Site has more control over how caches are stored. Good with regulation, some data needs to be stored and treated in a specific way. Eg. right to be forgotten.. want to remove private info but not necessarily cached images.
Dan: positive from firefox, no signal from edge or safari
Yves: fine to clos
OpenedOct 7, 2020
I'm requesting a TAG review of Storage Buckets API.
The core of the proposal is granting sites the ability to create multiple storage buckets, where the user agent may choose to delete each bucket independently of other buckets. By contrast, today's user agents have a binary choice of either persisting or deleting all the data stored by a site.
Further details:
We'd prefer the TAG provide feedback as (please delete all but the desired option):
🐛 open issues in our GitHub repo for each point of feedback